Before Starting Process.....
Replace shipping caps on bottles with dispensing caps or remove inner liner.
WASH DOWN & DRY THE SURFACE [IG Pink or regular detergent well diluted with water].
Shake products well while using
NOTE: Choose a warm (ideally above 65o F), dry day. Start early enough to allow for evening dew.
NOTE: Try to ensure each treated area is rendered waterproof by the end of the day. All areas will look the same when finished.
STEP 1: DE-OXIDIZE & CONDITION THE GELCOAT (the most important step)
a) APPLY Cleanser/Conditioner to 1 - 4 square feet of surface (use white paper towel swab). Surface should be well wetted with product and evenly spread. [NEUTRAL CLEAR™ is suitable for ALL colors, SEA GLOW™ is best for white, red & blue. CLICK HERE for explanation].
b) VERY LIGHTLY SCUFF with 3M synthetic steel wool pad [“000 Extra Fine”]. to “open up” the surface, allowing product to penetrate into the pores. Horizontal “back and forth” motion of the pad gives a uniform “silken” appearance to wetted surface. Be sure to remove grime and oxidation from minor scratches, that will then "disappear". [ Note: You can speed this stage by use of a Black & Decker® "Mouse™ " or similar orbital/linear sander, attaching the scuff pad onto the velcro backing of the rubber pad ].
c) DRAW UP OXIDATION & STAINS from the wetted area by wiping it with a ball of paper towel soaked in fresh product. Repeat this step until the gelcoat looks really clean and the paper towel swabs come up clean.
d) WIPE OFF EXCESS PRODUCT from the surface using paper towel. Inactivate cleanser by wiping over area with water-wetted paper towel [DO NOT HOSE OFF, as this will remove conditioner from the gelcoat pores].
e) IMMEDIATELY REMOVE EXCESS CONDITIONER by wiping to dryness with fresh clean paper towel. Surface should now be very clean and dry, with no streaks. It will have an even silken sheen. [ Note: If conditioner dries on surface , as in very hot weather, it will leave streaks. Remove them with a little fresh Cleanser/Conditioenr, then repeat steps d) & e) ].
a) APPLY ELIXIR™ to 1 - 4 square feet of surface (use white paper towel swab). Surface should be well wetted with product and evenly spread.[Suitable for ALL colors, including white, see HERE for explantion]
b) VERY LIGHTLY SCUFF with 3M synthetic steel wool pad [“000 Extra Fine”]. to “open up” the surface, allowing product to penetrate into the pores. Horizontal “back and forth” motion of the pad gives a uniform “silken” appearance to wetted surface. Be sure to remove grime and oxidation from minor scratches, that will then "disappear". [ Note: You can speed this stage by use of a Black & Decker® "Mouse™ " or similar orbital/linear sander, attaching the scuff pad onto the velcro backing of the rubber pad ].
c) DRAW UP OXIDATION & STAINS from the wetted area by wiping it with a ball of paper towel soaked in fresh product. Repeat this step until the gelcoat looks really clean and the paper towel swabs come up clean.
d) WIPE OFF EXCESS PRODUCT from the surface using paper towel or microfiber cloth
f) WIPE OFF ANY SURFACE OILINESS with Microfiber Towel. Surface should now be very clean and dry, with no streaks. Use of SLICKSEAL™ at this stage is a good idea. It will have an even silken sheen.

What comes next are crystal structures, not part of the piece:
'''
No. 1
Structure and computed powder XRD pattern of AcPm3Nd (a DFT-relaxed cell (GGA-PBE, Alexandria); Cu Kα (weighted mean of Kα1 and Kα2)).
Kinematic intensities with the Lorentz-polarization factor, no thermal factor.

The 6 most intense peaks (2θ from 10° to 90°), by intensity:
2θ (°)	I/Imax
31.21	100
31.27	66
29.56	51
31.41	33
27.42	32
57.73	23

Crystal structure
Cell: 3.7622 8.8846 11.5658 Å, 104.94 99.28 90.14°
Space group P-1 (No. 2)
Symmetry-distinct sites (fractional):
Ac (0.2133, 0.3094, 0.4307) (multiplicity 2)
Pm (0.1821, 0.8817, 0.3601) (multiplicity 2)
Pm (0.3874, 0.4823, 0.7727) (multiplicity 2)
Pm (0.4168, 0.9237, 0.8393) (multiplicity 2)
Nd (0.0156, 0.7165, 0.0331) (multiplicity 2)

***

No. 2
Structure and computed powder XRD pattern of La2PmPuP4 (a DFT-relaxed cell (GGA-PBE, Alexandria); Cu Kα (weighted mean of Kα1 and Kα2)).
Kinematic intensities with the Lorentz-polarization factor, no thermal factor.

The 6 most intense peaks (2θ from 10° to 90°), by intensity:
2θ (°)	I/Imax
30.33	100
26.19	88
43.43	74
51.42	41
53.86	20
71.56	17

Crystal structure
Cell: 7.2060 4.1723 7.2199 Å, 90.00 109.46 90.00°
Space group P2/m (No. 10)
Symmetry-distinct sites (fractional):
La (0.0000, 0.0000, 0.0000) (multiplicity 1)
La (0.5000, 0.5000, 0.0000) (multiplicity 1)
Pm (0.0000, 0.5000, 0.5000) (multiplicity 1)
Pu (0.5000, 0.0000, 0.5000) (multiplicity 1)
P (0.2521, 0.0000, 0.7391) (multiplicity 2)
P (0.2612, 0.5000, 0.2660) (multiplicity 2)

***

No. 3
Structure and computed powder XRD pattern of Ba3SnTe4 (a DFT-relaxed cell (GGA-PBE, Alexandria); Cu Kα (weighted mean of Kα1 and Kα2)).
Kinematic intensities with the Lorentz-polarization factor, no thermal factor.

The 6 most intense peaks (2θ from 10° to 90°), by intensity:
2θ (°)	I/Imax
25.64	100
36.58	78
59.50	37
45.21	28
65.85	27
83.47	15

Crystal structure
Cell: 4.9114 4.9114 13.9056 Å, 90.00 90.00 90.00°
Space group P4/mmm (No. 123)
Symmetry-distinct sites (fractional):
Ba (0.0000, 0.0000, 0.0000) (multiplicity 1)
Ba (0.5000, 0.5000, 0.2554) (multiplicity 2)
Sn (0.0000, 0.0000, 0.5000) (multiplicity 1)
Te (0.0000, 0.0000, 0.2607) (multiplicity 2)
Te (0.5000, 0.5000, 0.0000) (multiplicity 1)
Te (0.5000, 0.5000, 0.5000) (multiplicity 1)

----------

Entry 1:
Structure and theoretical powder XRD pattern of ZrIn2Pd2 (a cell relaxed with GGA-PBE; copper Kα).

abc: 4.616 4.638 9.686
angles: 90.00 90.00 90.00
Space group Pmmn (No. 59, origin choice 2)
Asymmetric unit:
Zr  0.250  0.250  0.174 x2
In  0.250  0.250  0.502 x2
In  0.250  0.250  0.828 x2
Pd  0.250  0.750  0.330 x2
Pd  0.250  0.750  0.993 x2

The 10 most intense peaks (10° ≤ 2θ ≤ 90°), by angle:
- (0 1 1), 2θ 21.3, I 14.6
- (1 0 2), 2θ 26.7, I 10.1
- (0 2 0), 2θ 38.8, I 25.9
- (2 0 0), 2θ 39.0, I 25.6
- (1 1 3), 2θ 39.2, I 100.0
- (2 2 0), 2θ 56.2, I 17.1
- (1 3 3), 2θ 70.6, I 16.9
- (3 1 3), 2θ 70.8, I 16.7
- (0 2 6), 2θ 71.2, I 8.3
- (2 2 6), 2θ 84.3, I 10.6

Entry 2:
'''

In very high humidity conditions, Make sure that the surface coating is DRY (rubbing hard by hand or buffing wheel will heat surface to dryness)
For faster curing, SB Catalyst™ can be applied
first and on the partially cured surface.
When Dry, gently wipe off any
surface oiliness with microfiber cloth.
Can use SLICKSEAL™ on partially cured surface for FAST results.

APPLY SIMPLY BRILLIANT Superwax™ (2 coats, first one thin and then one thicker one).
In cool conditions or very porous gelcoal, SB Catalyst™ can be applied first and directly onto the partially cured surface.
When Dry, wipe off any surface oiliness from excess additives. (Can be water rinsed first}. Use SLICKSEAL™ applied during or after hardening of the resin coating.

____________
[1]
Diffraction record for TmSnAuS3. The powder X-ray diffraction pattern is computed, not measured: it uses a GGA-PBE-relaxed structure and Cu Kα (weighted mean of Kα1 and Kα2).
No peak broadening, texture or thermal motion is included.

Structure:
abc: 14.365 4.034 10.884
angles: 90.00 90.00 90.00
Space group Pnma (No. 62)
Asymmetric unit:
1 Tm 0.011 0.250 0.153
2 Sn 0.242 0.250 0.919
3 Au 0.106 0.250 0.538
4 S 0.094 0.250 0.750
5 S 0.103 0.750 0.039
6 S 0.147 0.250 0.329

Principal peaks in the range 15° ≤ 2θ ≤ 90°, by angle:
| hkl | 2θ/deg | d/Å | I_rel |
| --- | --- | --- | --- |
| 3 0 2 | 24.77 | 3.595 | 42 |
| 2 1 0 | 25.32 | 3.517 | 100 |
| 2 1 1 | 26.64 | 3.347 | 37 |
| 1 1 2 | 28.23 | 3.161 | 46 |
| 3 1 1 | 30.11 | 2.968 | 92 |
| 0 1 5 | 47.46 | 1.916 | 39 |

[2]
Diffraction record for YSnAuS3. The powder X-ray diffraction pattern is computed, not measured: it uses a GGA-PBE-relaxed structure and Cu Kα (weighted mean of Kα1 and Kα2).
No peak broadening, texture or thermal motion is included.

Structure:
abc: 10.273 4.065 14.322
angles: 90.00 90.00 90.00
Space group Pnma (No. 62)
Asymmetric unit:
1 Y 0.015 0.250 0.236
2 Sn 0.229 0.750 0.440
3 Au 0.244 0.250 0.598
4 S 0.020 0.250 0.632
5 S 0.029 0.750 0.110
6 S 0.244 0.750 0.816

Principal peaks in the range 15° ≤ 2θ ≤ 90°, by angle:
| hkl | 2θ/deg | d/Å | I_rel |
| --- | --- | --- | --- |
| 2 0 0 | 17.26 | 5.137 | 29 |
| 2 0 2 | 21.29 | 4.174 | 46 |
| 2 1 1 | 28.69 | 3.112 | 29 |
| 0 1 3 | 28.85 | 3.095 | 100 |
| 4 0 0 | 34.94 | 2.568 | 33 |
| 4 1 3 | 45.92 | 1.976 | 50 |

[3]
Diffraction record for SrYTeAuS2. The powder X-ray diffraction pattern is computed, not measured: it uses a GGA-PBE-relaxed structure and Cu Kα (weighted mean of Kα1 and Kα2).
No peak broadening, texture or thermal motion is included.

Structure:
abc: 4.065 14.557 11.012
angles: 90.00 90.00 90.00
Space group Cmcm (No. 63)
Asymmetric unit:
1 Sr 0.000 0.204 0.250
2 Y 0.000 0.000 0.000
3 Te 0.000 0.113 0.750
4 Au 0.000 0.483 0.750
5 S 0.000 0.378 0.569

Principal peaks in the range 15° ≤ 2θ ≤ 90°, by angle:
| hkl | 2θ/deg | d/Å | I_rel |
| --- | --- | --- | --- |
| 0 0 2 | 16.10 | 5.506 | 52 |
| 1 3 1 | 29.80 | 2.998 | 40 |
| 0 0 4 | 32.52 | 2.753 | 32 |
| 1 3 2 | 33.03 | 2.712 | 100 |
| 1 5 2 | 41.53 | 2.175 | 28 |
| 2 0 0 | 44.58 | 2.033 | 18 |

[4]
Diffraction record for SrYAuS3. The powder X-ray diffraction pattern is computed, not measured: it uses a GGA-PBE-relaxed structure and Cu Kα (weighted mean of Kα1 and Kα2).
No peak broadening, texture or thermal motion is included.

Structure:
abc: 4.023 13.320 10.333
angles: 90.00 90.00 90.00
Space group Cmcm (No. 63)
Asymmetric unit:
1 Sr 0.000 0.247 0.250
2 Y 0.000 0.000 0.000
3 Au 0.000 0.467 0.750
4 S 0.000 0.088 0.750
____________

extra high gloss &
stain resistance

### Unrelated to this piece: calculated crystals
+++
For Al2CrF8, a crystal structure in Alexandria, relaxed with GGA+U gives the computed X-ray powder pattern in this record (Cu Kα (weighted mean of Kα1 and Kα2)).
Intensities are scaled so that the largest is 1000.

Cell and atoms:
a b c (Å): 5.7401 5.7401 6.3274
angles (deg): 90.00 90.00 120.00
Space group P-3m1 (No. 164)
One atom of each set of equivalent atoms:
Al1 0.3333 0.6667 0.2952 x2
Cr1 0.0000 0.0000 0.0000 x1
F1 0.1741 0.3482 0.1922 x6
F2 0.3333 0.6667 0.5596 x2

Largest 8 diffraction maxima, sorted by position, 15° ≤ 2θ ≤ 90°:
hkl 0 1 1, 22.7 deg, d 3.909, intensity 1000
hkl 1 1 0, 31.2 deg, d 2.870, intensity 213
hkl 0 1 2, 33.6 deg, d 2.669, intensity 95
hkl 0 2 1, 38.9 deg, d 2.313, intensity 137
hkl 0 2 2, 46.5 deg, d 1.955, intensity 170
hkl 1 2 1, 50.7 deg, d 1.801, intensity 186
hkl 1 1 3, 53.9 deg, d 1.700, intensity 83
hkl 2 2 0, 65.0 deg, d 1.435, intensity 108

----------

The following is a calculated powder X-ray diffraction pattern of TlV4Cu3O12. It was derived from a structure optimized by DFT (GGA+U), using Cu Kα (weighted mean of Kα1 and Kα2).

Largest 10 diffraction maxima, in order of rising 2θ, 10 to 90 degrees two-theta:
Position (°2θ)  d [Å]  I (rel.)
16.9  5.260  28
23.9  3.719  12
29.4  3.037  12
34.1  2.630  100
38.3  2.352  14
45.6  1.988  16
49.0  1.860  26
61.0  1.518  46
71.8  1.315  13
81.9  1.176  16

Lattice parameters (Å, degrees): 7.438 7.438 7.438 90.00 90.00 90.00
Space group Im-3 (No. 204)
Unique sites:
Tl1 0.000 0.000 0.000 x2
V1 0.250 0.250 0.250 x8
Cu1 0.000 0.000 0.500 x6
O1 0.000 0.181 0.304 x24

----------

No. 1
Computed X-ray diffraction stick pattern of Rb3Ag4Sb4 for copper Kα, from a cell relaxed with GGA-PBE.
Intensities are scaled so that the largest is 100.

```
Rb3Ag4Sb4
1.0
-2.443 2.574 13.951
2.443 -2.574 13.951
2.443 2.574 -13.951
Rb Ag Sb
3 4 4
Cartesian
0.000 0.000 0.000 Rb
2.443 0.000 4.180 Rb
0.000 2.574 9.771 Rb
0.000 0.000 6.964 Ag
2.443 0.000 11.196 Ag
0.000 2.574 2.754 Ag
0.000 0.000 20.938 Ag
2.443 0.000 8.412 Sb
0.000 0.000 12.540 Sb
0.000 0.000 15.362 Sb
0.000 2.574 5.539 Sb
```

Principal peaks in the range 15 to 90 degrees two-theta, in order of rising 2θ:
Position (°2θ)  I/Imax
17.52  23.0
28.27  100.0
34.26  20.4
34.86  32.6
36.79  28.1
40.05  16.2
41.18  25.9
47.07  16.9
49.68  14.0
51.58  20.7

=====

No. 2
Computed X-ray diffraction stick pattern of RbAg5Sb2 for copper Kα, from a cell relaxed with GGA-PBE.
Intensities are scaled so that the largest is 100.

```
RbAg5Sb2
1.0
-2.366 3.964 5.387
2.366 -3.964 5.387
2.366 3.964 -5.387
Rb Ag Sb
1 5 2
Cartesian
0.000 0.000 0.000 Rb
2.366 2.574 -1.559 Ag
2.366 2.574 1.559 Ag
0.000 3.964 0.000 Ag
0.000 1.389 3.828 Ag
0.000 1.389 6.947 Ag
2.366 0.000 2.664 Sb
0.000 3.964 2.723 Sb
```

Principal peaks in the range 15 to 90 degrees two-theta, in order of rising 2θ:
Position (°2θ)  I/Imax
27.50  19.5
30.57  70.0
31.27  100.0
38.04  59.4
39.04  70.4
40.17  51.1
40.49  56.8
42.47  21.5
42.63  22.7
56.76  40.7

=====

No. 3
+++
### So much for the calculated crystals

NOTE: If SIMPLY BRILLIANT™ is not available, use MIRROR HARD™ Instead (i.e. go straight to step 3B).
Their formulae are almost identical.
a) On white and light-colored gelcoat, make sure that most surface porosity has been removed in areas where ELIXIR™ and/or MIRROR HARD Superglaze™ fail to provide adequate gloss (Click HERE for Tech Bulletin). Your will see the partially broken-down gelcoat on the gray scuff pad.
b) On dark-colored VERY porous gelcoat (black, dark blue), ELIXIR™ alone may not be capabe of completely sealing the surface pores. This causes dull areas where the MIRROR HARD™ is applied, because it has soaked into the surface. Use SLICKSEAL™ or SILKENSEAL™ to seal the surface pores before application of a fresh coat of MIRROR HARD™ Superglaze™ . It will set even faster because of the SB Catalyst™ contained in the SLICKSEAL™ formulation.
c) Dulling of shine by premature exposure to water (rain etc ). This problem is now largely non-existant due to the quick-setting resins in our newer version of MIRROR HARD™ and also the rapid curing and water-repellant surface produced by application of SLICKSEAL™ to the partially cured resin coating.
WARNING: Once you have used the ISLAND GIRL™ process on gelcoat or paintwork, you should avoid further use of liquid wax or polish. The solvent in these products will partially dissolve the resin coating and imbed the abrasive grit contained in these products. This will ruin the pristine surface shine.